Mueller the Politician

Photo by Federal Bureau of Investigation | CC BY 2.0

Mueller has proven himself quite the politician.

I was hoping that the indictments would bring some sort of resolution to the investigation and force all the evidence to become public. But no, this investigation is not meant to be conclusive, it is — like Orwell’s description of war — meant to be continuous.

By issuing indictments to individuals that are unlikely to ever come to trial Mueller has dodged the responsibility of presenting any additional evidence — a perfect sleight of hand.

A relatively small number of Facebook ads were used, many after the election, but no one from the investigation claims it had any impact. We are supposed to imagine it did. The Russian meme bombers may or may not be connected to the Russian government but Mueller provides no evidence. The indictments are little more than unconvincing accusations in keeping with the rest of the Russian narrative as eminent historian Jackson Lears has so thoroughly demonstrated. 

Can anyone argue that the Russians had anything close to the influence of the corporate media when they gave Trump $2 billion worth of free coverage? Or when DNC operatives worked with their media allies to elevate Trump before the primaries even started? No contest. The electoral process is awash in $Billions skimmed from the global economy but that disappears from view in face of the foreign foe.

By shifting the grounds from hacking, collusion and intervention to what is essentially campaigning — the use of information, speech and propaganda by those seeking to influence the outcome — Mueller continues the war on “Fake News.” Clinton used the same tactic from the first days of the new Cold War. Not to worry about free speech, the secret police will tell us what is true and what is not.

The First Amendment was designed to protect the people from the power of government. It is our right and our right alone to evaluate and judge information. Anything else is tyranny. And make no mistake, these indictments target domestic dissent smearing Black Lives Matters, Berners and the Green Party as unwitting collaborators with the Russians.

Mueller’s recent move covers himself, hides the investigation’s lack of substance and lays the ground work for more. Mueller is achieving the true goals of an inquisition: enforcing political discipline and conformity at home and promoting war preparations abroad. This inquisition diverts us from a terrible truth: American democracy was destroyed by our own hands.  The corporate empire killed American democracy.

In fact, there are plenty of people, both Republicans and Democrats, that could be indicted for election fraud and conspiracy right here in the good ole’ USA. Much of the evidence is not in question and has been documented by Mark Crispin Miller, Greg Palast, Election Justice USA, and Code Red. Hackable voting machines, gerrymandering, crosscheck, and purging voter rolls are just a few examples. These crimes gets no traction for two big reasons.

First, it might lead to the kind of election reform that would make it impossible to rig the system. That would force candidates and parties to actually compete in the arena of policy and platform. They might have to offer something positive to the American people instead of relying on cloak and dagger, lesser of two evils and other fear-based tactics to compel people to vote for parties that no longer represent them.

As Ann Garrison recently argued in Black Agenda Report:

If the Democrats wanted to inspire trust in Hillary’s three million vote margin or in any future electoral outcomes, they would call for junking all the electronic voting machines and instituting secure, nationally uniform methods of casting and counting ballots: paper ballots counted by hand and safely stored to make recounts possible. They would thereby propose to preclude any future election hacking by Russians, Republicans, or other potential miscreants, including their fellow Democrats. They would turn more attention to ending voter suppression than to $100,000 worth of Facebook ads generated by a troll farm.

Second, any investigation of US election fraud would disarm the war party — which now includes the corporate Democrats and Republicans — by diluting the propaganda they need to command ever bigger budgets that keep the wheels of perpetual war turning.

The war party is led by the former Republican foreign policy establishment known as the neoconservatives. Whatever their bloody and criminal past, the “neocons,” like their figurehead G.W. Bush, have been rebranded as Democrats.

And the neocons are just the most recent incarnation of a longstanding bi-partisan consensus that has conducted overt war and covert operations to topple governments, intervene in elections, extract resources, and assassinate foreign leaders. The costs of war, the sheer tonnage of bombs and bullets, the millions of dead on all sides, the 650 major military bases, the dangerous and provocative military buildup on Russia’s borders, makes the words and memes dropped on us by Russians, or anyone else, look like the feeble attempts of rank amateurs struggling to compete in a game we have mastered.

How can we be outraged at intervention in our election when it is the US that routinely undermines the self-determination of other nations? We can be outraged at Russians or Chinese, but only from the perspective of militarized nationalism that neocons thrive on.  Or, from inside the illusion of “humanitarian war” that has been a part of America’s imperial rhetoric ever since White Man’s Burden eased our minds for crushing the Philippines 1899-1902. And always, and ultimately, from the sanctity of our founding myths: that we are chosen, an exceptional nation that only makes war with “God on Our Side.”

(Records of molecules, kept here for reference)
┌──
Entry from the Open Molecules 2025 dataset: a structure of composition C25H40N4O5PS2Tc (the ωB97M-V functional and the def2-TZVPD basis).

The geometry in XYZ format:
```
78
C25H40N4O5PS2Tc, DFT the ωB97M-V functional and the def2-TZVPD basis
Tc -0.718 0.640 1.127
C -3.239 0.133 -1.721
C -1.874 0.676 -2.159
C -1.993 1.766 -3.220
O -1.166 1.208 -1.022
C -1.042 -0.468 -2.730
O -0.839 -0.668 -3.899
O -0.539 -1.290 -1.755
H -3.865 0.955 -1.382
H -3.110 -0.572 -0.903
H -3.732 -0.369 -2.548
H -2.701 2.528 -2.905
H -2.340 1.332 -4.152
H -1.022 2.229 -3.398
H -1.226 2.173 -1.062
S 1.772 -0.328 1.415
C 1.202 -0.052 3.007
C 1.929 -0.262 4.174
C 1.346 0.070 5.378
C 0.066 0.622 5.387
C -0.602 0.778 4.191
N -0.063 0.430 3.021
H 2.921 -0.680 4.108
H 1.876 -0.081 6.306
H -0.414 0.908 6.308
H -1.600 1.197 4.153
C 1.403 -4.530 -3.435
C 0.505 -3.302 -3.527
C -0.923 -3.723 -3.860
P 0.688 -2.318 -1.961
C 2.202 -1.250 -1.974
C 3.470 -1.983 -2.403
C 1.988 -0.002 -2.831
C 0.508 -3.194 -0.354
C -0.742 -4.067 -0.396
C 1.750 -3.947 0.106
H 1.389 -5.056 -4.386
H 1.031 -5.214 -2.678
H 2.433 -4.278 -3.208
H 0.863 -2.636 -4.321
H -1.329 -4.405 -3.121
H -0.909 -4.243 -4.816
H -1.582 -2.867 -3.969
H 2.300 -0.951 -0.921
H 3.456 -2.226 -3.464
H 3.627 -2.889 -1.823
H 4.320 -1.326 -2.225
H 1.714 -0.244 -3.858
H 2.913 0.573 -2.857
H 1.217 0.634 -2.398
H 0.317 -2.363 0.339
H -0.563 -5.010 -0.908
H -1.557 -3.533 -0.880
H -1.056 -4.286 0.620
H 2.064 -4.707 -0.603
H 1.524 -4.448 1.046
H 2.576 -3.265 0.289
O -3.066 -0.113 1.795
N -2.725 -1.297 1.549
O -1.547 -1.387 1.122
N -3.384 2.725 1.610
C -2.345 3.420 2.131
S -0.781 3.126 1.563
N -2.666 4.395 2.996
C -1.924 5.318 3.751
C -2.638 6.026 4.720
C -2.005 6.963 5.510
C -0.650 7.202 5.347
C 0.061 6.495 4.394
C -0.565 5.558 3.591
H -3.218 1.760 1.324
H -4.303 2.863 2.004
H -3.654 4.446 3.220
H -3.696 5.842 4.850
H -2.568 7.503 6.254
H -0.154 7.942 5.953
H 1.116 6.675 4.267
H 0.003 5.033 2.843
```

Its expectation value of S² is 0.803. As for the LUMO energy (alpha / beta): -2.130 / -2.065 eV. Its energy above the lowest of the compared OMol25 structures with the same formula, charge and spin is 0.0 kJ/mol. The multiplicity is 2. The calculation puts the HOMO energy (alpha / beta) at -9.759 / -9.480 eV. As for the net charge: +1. The value obtained for the HOMO-LUMO gap (alpha / beta) is 0.2803 / 0.2725 Ha.

Entry from the Open Molecules 2025 dataset: a cluster of 4 separate species, C30H33F25O5 in total (the ωB97M-V functional and the def2-TZVPD basis).

The geometry in XYZ format:
```
93
C30H33F25O5, DFT the ωB97M-V functional and the def2-TZVPD basis
C 2.640 -0.160 0.746
C 1.629 -0.396 -0.500
C 2.598 -0.442 -1.822
C 0.605 0.811 -0.748
C -0.964 0.411 -0.498
C -1.360 -0.544 -1.718
C -2.524 -1.619 -1.375
C -2.115 -2.960 -0.668
C -3.170 -4.035 -0.257
C -4.686 -3.766 -0.545
C -5.129 -2.451 -1.281
C -4.028 -1.416 -1.666
O -1.659 1.687 -0.424
C -2.971 1.666 -0.953
O -3.970 1.874 -0.205
C -1.005 -0.265 0.957
C -2.441 -0.309 1.661
└──

Why would Mueller attack a system that he is so much a part of? Mueller has been a loyal member of the machine enabling wars, silencing whistleblowers and permitting torture since he was appointed to head the FBI by George W. Bush. Mueller dutifully repeated lies that bought us the war in Iraq.

So the inquisition will roll on as it is intended to do. How else can we explain that a year’s worth of investigation has produced no electronic evidence of collusion despite having the world’s largest surveillance system at its disposal? The scene of the alleged crime — the DNC computers and servers — have yet to be inspected; Seth Rich’s computers — the same; two key witness, Julian Assange and Craig Murray have never been interviewed by the investigation. The inquisition is not interested in evidence it is not interested in!

Our job however is to resist being drawn into the bottomless pit of palace politics and to organize a real resistance to empire, war and corporate power. For that we obviously cannot rely upon Mueller, the FBI or any political elites. Either we the people do it or it doesn’t get done.

Richard Moser writes at where this article first appeared.